**Job**
Count the lines further below that contain the word "VASP" and give the number alone, please.

**Data**
MnSbTe2O after structural relaxation. Source: Alexandria via LeMat-Bulk, functional GGA+U.

Computed properties:
D(E_F) = 3.01 states/eV per cell
Space-group type = P4/mmm, No. 123
Energy relative to the lowest polymorph listed for this composition = 0 meV per atom
Spin magnetization = 4.54 μB per formula unit
ρ = 6.55 Mg/m³
VASP energy = -22.09 eV for the cell shown

Cell lengths 4.8643, 4.8643, 4.8019 Å; angles 90.00, 90.00, 90.00 degrees
Closest atoms and distances in Å follow each position.
Atoms (fractional coordinates):
Mn1 0.0000 0.0000 0.0000  8 Te 3.42, 4 Sb 3.44
Sb1 0.5000 0.5000 0.0000  2 O 2.40
Te1 0.0000 0.5000 0.5000  2 O 2.43
Te2 0.5000 0.0000 0.5000  2 O 2.43
O1 0.5000 0.5000 0.5000  2 Sb 2.40, 4 Te 2.43

**Written answer**
1